Job:
Your job: work out how many lines further below have the word "scaled" in them; a number is enough.

Excerpt:
********
Starting from the PBE+U geometry in Alexandria, the powder XRD pattern of Te3W2Se4Cl8O2 was simulated for λ = 1.5418 Å (Cu Kα).
Intensities are scaled so that the largest is 100.

```
Te3W2Se4Cl8O2
1.0
6.513 -5.658 0.000
6.513 5.658 0.000
-3.818 0.000 14.968
Te W Se Cl O
6 4 8 16 4
Direct
0.073 0.927 0.500
0.087 0.806 0.196
0.194 0.914 0.804
0.806 0.087 0.696
0.914 0.194 0.304
0.927 0.073 0.000
0.495 0.500 0.625
0.500 0.495 0.125
0.500 0.504 0.376
0.504 0.500 0.876
0.059 0.206 0.471
0.083 0.175 0.736
0.175 0.083 0.236
0.206 0.059 0.971
0.794 0.942 0.529
0.826 0.917 0.264
0.917 0.826 0.764
0.942 0.794 0.029
0.216 0.579 0.604
0.219 0.582 0.853
0.224 0.456 0.339
0.227 0.449 0.094
0.418 0.780 0.147
0.421 0.783 0.396
0.449 0.227 0.594
0.456 0.224 0.839
0.543 0.777 0.661
0.550 0.773 0.907
0.579 0.216 0.104
0.582 0.219 0.353
0.773 0.550 0.407
0.777 0.543 0.161
0.780 0.418 0.647
0.783 0.421 0.896
0.500 0.500 0.000
0.500 0.500 0.250
0.500 0.500 0.500
0.500 0.500 0.750
```

Largest 10 diffraction maxima, by angle, 2θ = 10–90°:
14.03 deg, I 100.0; 15.66 deg, I 58.0; 21.09 deg, I 25.3; 22.55 deg, I 13.2; 24.39 deg, I 78.5; 27.63 deg, I 42.7; 31.72 deg, I 19.5; 31.86 deg, I 31.4; 45.82 deg, I 13.2; 51.15 deg, I 13.1

~~~~~

[1]
This entry pairs a crystal structure of Nd3Al3Ga with its calculated PXRD pattern. Radiation: λ = 1.5418 Å (Cu Kα). Structure: a DFT-relaxed cell (PBE, Alexandria).
Peak positions follow from Bragg's law for the DFT cell and can differ from measured ones.

```
data_Nd3Al3Ga
_chemical_formula_sum 'Nd6 Al6 Ga2'
_cell_length_a 4.325
_cell_length_b 4.374
_cell_length_c 19.222
_cell_angle_alpha 90.00
_cell_angle_beta 90.00
_cell_angle_gamma 90.00
_symmetry_space_group_name_H-M 'I m m 2'
_symmetry_Int_Tables_number 44
loop_
_symmetry_equiv_pos_as_xyz
'x,y,z'
'-x,-y,z'
'-x,y,z'
'x,-y,z'
'x+1/2,y+1/2,z+1/2'
'-x+1/2,-y+1/2,z+1/2'
'-x+1/2,y+1/2,z+1/2'
'x+1/2,-y+1/2,z+1/2'
loop_
_atom_site_label
_atom_site_fract_x
_atom_site_fract_y
_atom_site_fract_z
Nd1 0.000 0.000 0.000
Nd2 0.000 0.000 0.371
Nd3 0.000 0.500 0.683
Al1 0.000 0.000 0.546
Al2 0.000 0.000 0.823
Al3 0.000 0.500 0.249
Ga1 0.000 0.500 0.119
```

Peak list (10 most intense, 2θ from 5° to 70°, by angle)
2θ 24.84, I = 54; 2θ 27.85, I = 17; 2θ 30.52, I = 100; 2θ 30.97, I = 60; 2θ 34.63, I = 18; 2θ 38.85, I = 21; 2θ 41.28, I = 21; 2θ 41.77, I = 21; 2θ 48.77, I = 18; 2θ 52.89, I = 26



[2]
This entry pairs a crystal structure of Li2Al2Ga3 with its calculated PXRD pattern. Radiation: λ = 1.5418 Å (Cu Kα). Structure: a DFT-relaxed cell (PBE, Alexandria).
Peak positions follow from Bragg's law for the DFT cell and can differ from measured ones.

```
data_Li2Al2Ga3
_chemical_formula_sum 'Li2 Al2 Ga3'
_cell_length_a 4.651
_cell_length_b 4.751
_cell_length_c 6.047
_cell_angle_alpha 106.02
_cell_angle_beta 103.82
_cell_angle_gamma 97.15
_symmetry_space_group_name_H-M 'P -1'
_symmetry_Int_Tables_number 2
loop_
_symmetry_equiv_pos_as_xyz
'x,y,z'
'-x,-y,-z'
loop_
_atom_site_label
_atom_site_fract_x
_atom_site_fract_y
_atom_site_fract_z
Li1 0.176 0.102 0.235
Al1 0.390 0.278 0.773
Ga1 0.000 0.500 0.000
Ga2 0.240 0.690 0.522
```

Peak list (10 most intense, 2θ from 5° to 70°, by angle)
2θ 19.86, I = 100; 2θ 25.27, I = 88; 2θ 28.98, I = 49; 2θ 32.02, I = 57; 2θ 32.15, I = 43; 2θ 39.30, I = 80; 2θ 40.63, I = 71; 2θ 40.86, I = 56; 2θ 41.78, I = 75; 2θ 46.86, I = 41



[3]
This entry pairs a crystal structure of Cs4Mn3Cl10 with its calculated PXRD pattern. Radiation: λ = 1.5418 Å (Cu Kα). Structure: a DFT-relaxed cell (PBE, Alexandria).
Peak positions follow from Bragg's law for the DFT cell and can differ from measured ones.

```
data_Cs4Mn3Cl10
_chemical_formula_sum 'Cs8 Mn6 Cl20'
_cell_length_a 5.175
_cell_length_b 5.175
_cell_length_c 37.638
_cell_angle_alpha 90.00
_cell_angle_beta 90.00
_cell_angle_gamma 90.00
_symmetry_space_group_name_H-M 'I 4/m m m'
_symmetry_Int_Tables_number 139
_symmetry_space_group_name_Hall '-I 4 2'
loop_
_atom_site_label
_atom_site_fract_x
********

Reply:
1